Given =
=====
Entry 1:
An optimized crystal structure of Rb2MnF5. Source: Materials Project, functional GGA+U.

Cell lengths 6.184, 6.184, 4.220 Å; angles 90.00, 90.00, 90.00 degrees
Atoms (fractional coordinates):
1 Rb 0.000 0.500 0.000
2 Rb 0.500 0.000 0.000
3 Mn 0.000 0.000 0.500
4 F 0.000 0.000 0.000
5 F 0.218 0.218 0.500
6 F 0.218 0.782 0.500
7 F 0.782 0.218 0.500
8 F 0.782 0.782 0.500

The corrected total energy (MP2020 scheme) is -5.559 eV/atom. The calculation puts the total DFT energy (no corrections) at -5.061 eV/atom. The formation energy from the elements is -2.972 eV/atom. Its space group is No. 123.

Entry 2:
An optimized crystal structure of RbMnF4. Source: Materials Project, functional GGA+U.

Cell lengths 6.165, 7.976, 7.999 Å; angles 90.00, 90.86, 90.00 degrees
Atoms (fractional coordinates):
1 Rb 0.012 0.204 0.253
2 Rb 0.012 0.296 0.753
3 Rb 0.988 0.704 0.247
4 Rb 0.988 0.796 0.747
5 Mn 0.500 0.000 0.000
6 Mn 0.500 0.000 0.500
7 Mn 0.500 0.500 0.000
8 Mn 0.500 0.500 0.500
9 F 0.214 0.550 0.552
10 F 0.214 0.950 0.052
11 F 0.215 0.564 0.955
12 F 0.215 0.936 0.455
13 F 0.405 0.230 0.498
14 F 0.405 0.270 0.998
15 F 0.422 0.514 0.268
16 F 0.422 0.986 0.768
17 F 0.578 0.014 0.232
18 F 0.578 0.486 0.732
19 F 0.595 0.730 0.002
20 F 0.595 0.770 0.502
21 F 0.785 0.064 0.545
22 F 0.785 0.436 0.045
23 F 0.786 0.050 0.948
24 F 0.786 0.450 0.448

The corrected total energy (MP2020 scheme) is -5.913 eV/atom. The calculation puts the total DFT energy (no corrections) at -5.327 eV/atom. The formation energy from the elements is -2.946 eV/atom. Its space group is No. 14.

Entry 3:
An optimized crystal structure of Rb2MnF6. Source: Materials Project, functional GGA+U.

Cell lengths 6.069, 6.069, 9.892 Å; angles 90.00, 90.00, 120.00 degrees
Atoms (fractional coordinates):
1 Rb 0.000 0.000 0.000
2 Rb 0.000 0.000 0.500
3 Rb 0.333 0.667 0.274
4 Rb 0.667 0.333 0.774
5 Mn 0.333 0.667 0.658
6 Mn 0.667 0.333 0.158
7 F 0.048 0.524 0.548
8 F 0.187 0.373 0.761
9 F 0.187 0.813 0.761
10 F 0.373 0.187 0.261
11 F 0.476 0.524 0.548
12 F 0.476 0.952 0.548
13 F 0.524 0.048 0.048
14 F 0.524 0.476 0.048
15 F 0.627 0.813 0.761
16 F 0.813 0.187 0.261
17 F 0.813 0.627 0.261
18 F 0.952 0.476 0.048

The corrected total energy (MP2020 scheme) is -5.408 eV/atom. The calculation puts the total DFT energy (no corrections) at -4.915 eV/atom. The formation energy from the elements is -2.896 eV/atom. Its space group is No. 186.

Entry 4:
An optimized crystal structure of Rb2MnF6. Source: Materials Project, functional GGA+U.

Cell lengths 6.157, 6.157, 6.157 Å; angles 60.00, 60.00, 60.00 degrees
Atoms (fractional coordinates):
1 Rb 0.250 0.250 0.250
2 Rb 0.750 0.750 0.750
3 Mn 0.000 0.000 0.000
4 F 0.212 0.212 0.788
5 F 0.212 0.788 0.212
6 F 0.212 0.788 0.788
7 F 0.788 0.212 0.212
8 F 0.788 0.212 0.788
9 F 0.788 0.788 0.212

The corrected total energy (MP2020 scheme) is -5.413 eV/atom. The calculation puts the total DFT energy (no corrections) at -4.919 eV/atom. The formation energy from the elements is -2.900 eV/atom. Its space group is No. 225.

Entry 5:
An optimized crystal structure of RbZrMnF7. Source: Materials Project, functional GGA+U.

Cell lengths 6.544, 6.544, 8.424 Å; angles 90.00, 90.00, 117.66 degrees
Atoms (fractional coordinates):
1 Rb 0.000 0.000 0.000
2 Rb 0.000 0.000 0.500
3 Zr 0.307 0.693 0.750
4 Zr 0.693 0.307 0.250
5 Mn 0.311 0.689 0.250
6 Mn 0.689 0.311 0.750
7 F 0.033 0.336 0.250
8 F 0.054 0.341 0.750
9 F 0.300 0.700 0.506
10 F 0.300 0.700 0.994
11 F 0.336 0.033 0.750
12 F 0.341 0.054 0.250
13 F 0.493 0.507 0.750
14 F 0.507 0.493 0.250
15 F 0.659 0.946 0.750
16 F 0.664 0.967 0.250
17 F 0.700 0.300 0.006
18 F 0.700 0.300 0.494
19 F 0.946 0.659 0.250
20 F 0.967 0.664 0.750

The corrected total energy (MP2020 scheme) is -6.779 eV/atom. The calculation puts the total DFT energy (no corrections) at -6.289 eV/atom. The formation energy from the elements is -3.570 eV/atom. Its space group is No. 63.

Entry 6:
=====
Wanted =
Your job: count the lines further above that contain the word "the" and give the number alone.
Done =
5